(1)
A geometry-optimized LiTa2Zn structure. Source: the Alexandria database, functional PBE.

Cell: 2.7155 2.7155 9.9317 Å, 90.00 90.00 109.67°
Closest atoms and distances in Å follow each position.
Fractional coordinates of all 4 atoms:
Ta 0.0000 0.0000 0.0117  4 Ta 2.72, 2 Zn 2.84, 2 Li 3.03
Ta 0.0000 0.0000 0.4883  4 Ta 2.72, 2 Zn 2.84, 2 Li 3.03
Li 0.5000 0.5000 0.7500  4 Li 2.72, 4 Ta 3.03
Zn 0.5000 0.5000 0.2500  4 Zn 2.72, 4 Ta 2.84

Output
**Electronic total energy**: -6.419 eV per atom
**N(E_F)**: 4.38 states/eV per cell

***

(2)
A geometry-optimized Li2TaZn structure. Source: the Alexandria database, functional PBE.

Cell: 2.7345 2.7345 8.3678 Å, 90.00 90.00 90.00°
Closest atoms and distances in Å follow each position.
Fractional coordinates of all 4 atoms:
Zn 0.5000 0.5000 0.7500  8 Li 2.71, 4 Zn 2.73
Li 0.0000 0.0000 0.9765  4 Zn 2.71, 4 Li 2.73, 4 Ta 3.00
Li 0.0000 0.0000 0.5235  4 Zn 2.71, 4 Li 2.73, 4 Ta 3.00
Ta 0.5000 0.5000 0.2500  4 Ta 2.73, 8 Li 3.00

Output
**Electronic total energy**: -4.031 eV per atom
**N(E_F)**: 2.76 states/eV per cell

***

no.,volume (Å³/atom),formation energy (eV/atom)
1,17.24,0.304
2,15.64,0.208

~~~~~

Entry 1:
{
  "formula": "BH3Pd",
  "functional": "PBE",
  "state": "relaxed",
  "total_magnetization_mub_per_fu": 0.0,
  "e_tot_ev_per_fu": -17.72,
  "space_group": "Pm-3m",
  "n_ef_per_ev_atom": 0.158,
  "lattice": [[3.197, 0.000, 0.000], [0.000, 3.197, 0.000], [0.000, 0.000, 3.197]],
  "species": ["B", "H", "H", "H", "Pd"],
  "frac_coords": [[0.000, 0.000, 0.000], [0.000, 0.000, 0.500], [0.000, 0.500, 0.000], [0.500, 0.000, 0.000], [0.500, 0.500, 0.500]]
}



Entry 2:
{
  "formula": "Ag2TeRu",
  "functional": "PBE",
  "state": "relaxed",
  "total_magnetization_mub_per_fu": 1.3,
  "space_group": "R-3m",
  "e_form_raw_ev_per_atom": 0.565,
  "n_ef_per_ev_atom": 0.560,
  "lattice": [[1.498, 0.865, 10.231], [-1.498, 0.865, 10.231], [0.000, -1.730, 10.231]],
  "species": ["Ag", "Ag", "Te", "Ru"],
  "frac_coords": [[0.241, 0.241, 0.241], [0.759, 0.759, 0.759], [0.000, 0.000, 0.000], [0.500, 0.500, 0.500]]
}



Entry 3:
{
  "formula": "Pr5HoAs6",
  "functional": "PBE",
  "state": "relaxed",
  "total_magnetization_mub_per_fu": 0.0,
  "formation_enthalpy_0k_mev_per_atom": -1497,
  "space_group": "C2/m",
  "n_ef_per_ev_atom": 0.087,
  "lattice": [[3.703, -6.412, 0.000], [3.703, 6.412, 0.000], [-2.472, 0.000, 6.981]],
  "species": ["Pr", "Pr", "Pr", "Pr", "Pr", "Ho", "As", "As", "As", "As", "As", "As"],
  "frac_coords": [[0.000, 0.000, 0.000], [0.166, 0.834, 0.500], [0.332, 0.668, 0.000], [0.668, 0.332, 0.000], [0.834, 0.166, 0.500], [0.500, 0.500, 0.500], [0.091, 0.418, 0.255], [0.256, 0.256, 0.746], [0.418, 0.091, 0.255], [0.582, 0.909, 0.745], [0.744, 0.744, 0.254], [0.909, 0.582, 0.745]]
}

Type out all of the calculation results further up unchanged, please.

(1)
A geometry-optimized LiTa2Zn structure. Source: the Alexandria database, functional PBE.

Cell: 2.7155 2.7155 9.9317 Å, 90.00 90.00 109.67°
Closest atoms and distances in Å follow each position.
Fractional coordinates of all 4 atoms:
Ta 0.0000 0.0000 0.0117  4 Ta 2.72, 2 Zn 2.84, 2 Li 3.03
Ta 0.0000 0.0000 0.4883  4 Ta 2.72, 2 Zn 2.84, 2 Li 3.03
Li 0.5000 0.5000 0.7500  4 Li 2.72, 4 Ta 3.03
Zn 0.5000 0.5000 0.2500  4 Zn 2.72, 4 Ta 2.84

Output
**Electronic total energy**: -6.419 eV per atom
**N(E_F)**: 4.38 states/eV per cell

***

(2)
A geometry-optimized Li2TaZn structure. Source: the Alexandria database, functional PBE.

Cell: 2.7345 2.7345 8.3678 Å, 90.00 90.00 90.00°
Closest atoms and distances in Å follow each position.
Fractional coordinates of all 4 atoms:
Zn 0.5000 0.5000 0.7500  8 Li 2.71, 4 Zn 2.73
Li 0.0000 0.0000 0.9765  4 Zn 2.71, 4 Li 2.73, 4 Ta 3.00
Li 0.0000 0.0000 0.5235  4 Zn 2.71, 4 Li 2.73, 4 Ta 3.00
Ta 0.5000 0.5000 0.2500  4 Ta 2.73, 8 Li 3.00

Output
**Electronic total energy**: -4.031 eV per atom
**N(E_F)**: 2.76 states/eV per cell

***

no.,volume (Å³/atom),formation energy (eV/atom)
1,17.24,0.304
2,15.64,0.208

~~~~~

Entry 1:
{
  "formula": "BH3Pd",
  "functional": "PBE",
  "state": "relaxed",
  "total_magnetization_mub_per_fu": 0.0,
  "e_tot_ev_per_fu": -17.72,
  "space_group": "Pm-3m",
  "n_ef_per_ev_atom": 0.158,
  "lattice": [[3.197, 0.000, 0.000], [0.000, 3.197, 0.000], [0.000, 0.000, 3.197]],
  "species": ["B", "H", "H", "H", "Pd"],
  "frac_coords": [[0.000, 0.000, 0.000], [0.000, 0.000, 0.500], [0.000, 0.500, 0.000], [0.500, 0.000, 0.000], [0.500, 0.500, 0.500]]
}



Entry 2:
{
  "formula": "Ag2TeRu",
  "functional": "PBE",
  "state": "relaxed",
  "total_magnetization_mub_per_fu": 1.3,
  "space_group": "R-3m",
  "e_form_raw_ev_per_atom": 0.565,
  "n_ef_per_ev_atom": 0.560,
  "lattice": [[1.498, 0.865, 10.231], [-1.498, 0.865, 10.231], [0.000, -1.730, 10.231]],
  "species": ["Ag", "Ag", "Te", "Ru"],
  "frac_coords": [[0.241, 0.241, 0.241], [0.759, 0.759, 0.759], [0.000, 0.000, 0.000], [0.500, 0.500, 0.500]]
}



Entry 3:
{
  "formula": "Pr5HoAs6",
  "functional": "PBE",
  "state": "relaxed",
  "total_magnetization_mub_per_fu": 0.0,
  "formation_enthalpy_0k_mev_per_atom": -1497,
  "space_group": "C2/m",
  "n_ef_per_ev_atom": 0.087,
  "lattice": [[3.703, -6.412, 0.000], [3.703, 6.412, 0.000], [-2.472, 0.000, 6.981]],
  "species": ["Pr", "Pr", "Pr", "Pr", "Pr", "Ho", "As", "As", "As", "As", "As", "As"],
  "frac_coords": [[0.000, 0.000, 0.000], [0.166, 0.834, 0.500], [0.332, 0.668, 0.000], [0.668, 0.332, 0.000], [0.834, 0.166, 0.500], [0.500, 0.500, 0.500], [0.091, 0.418, 0.255], [0.256, 0.256, 0.746], [0.418, 0.091, 0.255], [0.582, 0.909, 0.745], [0.744, 0.744, 0.254], [0.909, 0.582, 0.745]]
}